[Input]
-- begin --
# 1
Entry from the Materials Project database: a relaxed structure of Ba2NdCu3O7 (GGA-PBE).

a = 3.894 Å, b = 3.958 Å, c = 11.899 Å
α = 90.00°, β = 90.00°, γ = 90.00°
Atoms (fractional coordinates):
Ba1 0.000 0.000 0.179
Ba2 0.000 0.000 0.821
Nd1 0.000 0.000 0.500
Cu1 0.500 0.500 0.000
Cu2 0.500 0.500 0.347
Cu3 0.500 0.500 0.653
O1 0.000 0.500 0.372
O2 0.000 0.500 0.628
O3 0.500 0.000 0.000
O4 0.500 0.000 0.371
O5 0.500 0.000 0.629
O6 0.500 0.500 0.158
O7 0.500 0.500 0.842

Values from the calculation:
**Energy relative to the elements**: -208.0 kJ per mole of atoms
**Symmetry**: Pmmm (47)
**Total magnetic moment**: 0.0034 μB/atom

=====

# 2
Entry from the Materials Project database: a relaxed structure of Bi9Rh2Br3 (GGA-PBE).

a = 9.438 Å, b = 13.883 Å, c = 20.243 Å
α = 90.00°, β = 100.98°, γ = 90.00°
Atoms (fractional coordinates):
Bi1 0.007 0.034 0.384
Bi2 0.007 0.466 0.384
Bi3 0.025 0.250 0.613
Bi4 0.027 0.635 0.105
Bi5 0.027 0.865 0.105
Bi6 0.144 0.250 0.470
Bi7 0.164 0.035 0.223
Bi8 0.164 0.465 0.223
Bi9 0.202 0.250 0.139
Bi10 0.206 0.750 0.231
Bi11 0.210 0.750 0.561
Bi12 0.246 0.032 0.555
Bi13 0.246 0.468 0.555
Bi14 0.253 0.037 0.053
Bi15 0.253 0.463 0.053
Bi16 0.282 0.635 0.434
Bi17 0.282 0.865 0.434
Bi18 0.286 0.750 0.055
Bi19 0.297 0.635 0.762
Bi20 0.297 0.865 0.762
Bi21 0.434 0.250 0.282
Bi22 0.442 0.031 0.891
Bi23 0.442 0.469 0.891
Bi24 0.466 0.536 0.284
Bi25 0.466 0.964 0.284
Bi26 0.468 0.750 0.891
Bi27 0.470 0.250 0.803
Bi28 0.530 0.750 0.197
Bi29 0.532 0.250 0.109
Bi30 0.534 0.036 0.716
Bi31 0.534 0.464 0.716
Bi32 0.558 0.531 0.109
Bi33 0.558 0.969 0.109
Bi34 0.566 0.750 0.718
Bi35 0.703 0.135 0.238
Bi36 0.703 0.365 0.238
Bi37 0.714 0.250 0.945
Bi38 0.718 0.135 0.566
Bi39 0.718 0.365 0.566
Bi40 0.747 0.537 0.947
Bi41 0.747 0.963 0.947
Bi42 0.754 0.532 0.445
Bi43 0.754 0.968 0.445
Bi44 0.790 0.250 0.439
Bi45 0.794 0.250 0.769
Bi46 0.798 0.750 0.861
Bi47 0.836 0.535 0.777
Bi48 0.836 0.965 0.777
Bi49 0.856 0.750 0.530
Bi50 0.973 0.135 0.895
Bi51 0.973 0.365 0.895
Bi52 0.975 0.750 0.387
Bi53 0.993 0.534 0.616
Bi54 0.993 0.966 0.616
Rh1 0.035 0.601 0.489
Rh2 0.035 0.899 0.489
Rh3 0.319 0.600 0.157
Rh4 0.319 0.900 0.157
Rh5 0.413 0.100 0.180
Rh6 0.413 0.400 0.180
Rh7 0.587 0.600 0.820
Rh8 0.587 0.900 0.820
Rh9 0.681 0.100 0.843
Rh10 0.681 0.400 0.843
Rh11 0.965 0.101 0.511
Rh12 0.965 0.399 0.511
Br1 0.075 0.250 0.300
Br2 0.136 0.605 0.911
Br3 0.136 0.895 0.911
Br4 0.144 0.104 0.761
Br5 0.144 0.396 0.761
Br6 0.328 0.250 0.957
Br7 0.397 0.250 0.628
Br8 0.438 0.106 0.426
Br9 0.438 0.394 0.426
Br10 0.562 0.606 0.574
Br11 0.562 0.894 0.574
Br12 0.603 0.750 0.372
Br13 0.672 0.750 0.043
Br14 0.856 0.604 0.239
Br15 0.856 0.896 0.239
Br16 0.864 0.105 0.089
Br17 0.864 0.395 0.089
Br18 0.925 0.750 0.700

Values from the calculation:
**Energy relative to the elements**: -40.1 kJ per mole of atoms
**Symmetry**: P2_1/m (11)
**Total magnetic moment**: 0.0002 μB/atom

=====

# 3
Entry from the Materials Project database: a relaxed structure of Hf8MgN8O4 (GGA-PBE).

a = 5.421 Å, b = 5.457 Å, c = 10.650 Å
α = 76.04°, β = 76.49°, γ = 60.32°
Atoms (fractional coordinates):
Hf1 0.000 0.000 0.000
Hf2 0.081 0.124 0.715
Hf3 0.216 0.289 0.292
Hf4 0.333 0.358 0.979
Hf5 0.477 0.503 0.530
Hf6 0.565 0.667 0.216
Hf7 0.705 0.771 0.793
Hf8 0.807 0.847 0.508
Mg1 0.903 0.962 0.254
N1 0.217 0.602 0.374
N2 0.248 0.038 0.132
N3 0.334 0.754 0.877
N4 0.477 0.126 0.636
N5 0.554 0.883 0.368
N6 0.712 0.085 0.874
N7 0.774 0.512 0.631
N8 0.977 0.644 0.135
O1 0.039 0.372 0.874
O2 0.101 0.805 0.630
O3 0.595 0.313 0.140
O4 0.843 0.251 0.378
-- stop --
[Work order]
Filter the block further up: keep the lines with the word "Bi26".
[Written answer]
Bi26 0.468 0.750 0.891